SUGGESTIONS that family doctors working within the NHS should be allowed to refer patients to their private practices have been criticised by an NHS GP – who also runs his own private practice in Tunbridge Wells.
Dr Coonjobeeharry, 53, known by his patients as ‘Dr Harry’, has been a partner at the NHS-funded Old School Surgery in Cranbrook since 2003.
But in October 2013, he established his own private clinic, GP Consulting in Frant Road, Tunbridge Wells. He splits his week, working three days in Cranbrook and two with his private patients.
And it is this separation which Dr Harry considers fundamental to ethical practice, and why he is so concerned by recent developments from his fellow practitioners.
Plans are being discussed by local medical committees (LMCs) around the country to allow doctors to refer patients to their own private clinics.
Recently, an NHS GP surgery in Bournemouth set up a private service where patients can pay up to £145 to skip waiting lists to see a doctor.
The service will be operated by the same NHS doctors from 8am until 8pm Monday to Friday and 8am until 12noon Saturdays.
It offers same-day, ‘unhurried’ and ‘personal’ care ‘rather than the rushed NHS clinics that the cash-strapped service is encouraging’.
Under the terms set out in their contracts, family doctors are not allowed to offer private services to their own NHS patients as this would create a conflict of interest. They are allowed to do private work, but only for patients registered at another practice.
Dr Harry has 1,600 NHS patients on his books and agrees that it ‘frees up the NHS’.
He said: “If you want your ear syringed, for example, and you don’t want to wait weeks for it, if you have the money, some people will elect to pay.”
But he thinks allowing doctors to refer their own NHS patients to their private practice is ‘crossing the line’.
“As of now, the ethos of GPs who also work privately was: ‘If it’s available on the NHS then you can’t offer it privately’. Because otherwise there is a conflict of interest.
“How can you trust a GP if they have a stake in you going private?” he asked.
As an alternative, he champions his own model of distinct patient lists.
“I only see patients who are not my NHS patients. I keep it completely separate so it is not compromising. You have to be open about who you are and what hat you are wearing, your private or your NHS one.
“Don’t be on call at the same time because you could start to prioritise your private patients because it is more rewarding to you. That’s morally wrong,” he asserted.
........
Formula: C61H68AsN9O6Y
Source: the Open Molecules 2025 dataset
Level of theory: ωB97M-V/def2-TZVPD

Element x y z (Å)
Y: 0.434193 -0.189605 0.437220
C: -5.956286 2.590158 0.649552
C: -4.519044 2.650006 0.207580
C: -4.171317 2.773483 -1.133900
C: -2.849488 2.772135 -1.549545
C: -1.785107 2.635396 -0.648616
N: -0.457970 2.456293 -0.972226
C: 0.135920 3.262651 -1.855981
C: -0.437439 4.465620 -2.363567
C: 0.214415 5.312381 -3.226724
C: 1.522855 5.065833 -3.641960
C: 2.256261 5.988355 -4.578834
C: 2.127888 3.936078 -3.120583
C: 1.473100 3.035094 -2.282466
N: 2.270866 1.913536 -1.844552
C: 3.323758 1.456922 -2.550375
C: 4.081178 0.646596 -1.740301
C: 3.377472 0.633535 -0.537234
N: 2.274643 1.378404 -0.598794
C: -2.163686 2.591574 0.707546
C: -3.480029 2.575920 1.127624
N: -1.129864 2.775311 1.677886
C: -1.003446 3.942740 2.359210
C: 0.311178 4.094612 2.698516
C: 0.941137 2.966867 2.148187
N: 0.082096 2.180420 1.530071
H: -6.623754 2.573931 -0.211824
H: -6.150165 1.689696 1.235784
H: -6.224230 3.450418 1.268166
H: -4.957636 2.834005 -1.878520
H: -2.620674 2.849866 -2.604302
H: -1.430726 4.728592 -2.025792
H: -0.292910 6.210435 -3.565020
H: 1.742907 6.947954 -4.654690
H: 3.274584 6.183885 -4.235314
H: 2.326156 5.575440 -5.589169
H: 3.173210 3.773043 -3.351748
H: 3.470793 1.739197 -3.576201
H: 4.999104 0.145910 -1.989136
H: 3.627788 0.144252 0.387693
H: -3.690454 2.513302 2.191119
H: -1.857637 4.583489 2.495395
H: 0.764388 4.887902 3.265282
H: 1.986571 2.731384 2.138722
C: 0.297985 -5.185117 -2.841729
C: 0.178948 -3.663028 -2.974213
C: 0.798016 -3.191587 -4.286744
C: -1.273406 -3.270463 -2.799454
C: -2.162394 -3.458759 -3.856363
C: -3.519885 -3.266865 -3.690086
C: -4.001433 -2.884663 -2.446984
C: -3.148740 -2.676734 -1.372668
C: -3.748070 -2.310604 -0.026808
C: -4.606835 -1.046727 -0.078424
C: -4.559026 -3.484450 0.530894
C: -1.761770 -2.863825 -1.548231
N: -0.886449 -2.659314 -0.438962
C: -0.977158 -3.685069 0.380590
O: -1.558053 -4.772913 0.198483
C: -0.253564 -3.531501 1.689455
C: -0.293495 -4.628330 2.540768
C: 0.482519 -4.632360 3.679288
C: 1.288365 -3.536079 3.914762
C: 1.217121 -2.452491 3.052040
N: 0.438930 -2.414939 1.962458
C: 2.013481 -1.242965 3.444423
O: 2.891578 -1.413197 4.303490
N: 1.612322 -0.081800 2.917387
C: 2.019463 0.963810 3.813272
C: 3.310078 1.506448 3.819865
C: 3.602220 2.550385 4.689623
C: 2.658031 3.022854 5.585636
C: 1.408196 2.428905 5.627328
C: 1.072123 1.402970 4.752827
C: -0.279952 0.724982 4.865511
C: -0.231400 -0.338772 5.968428
C: -1.435682 1.694312 5.105466
C: 4.404217 0.963104 2.927055
C: 5.516003 0.322176 3.760392
C: 4.977893 2.030487 1.992662
H: 1.345741 -5.499244 -2.824749
H: -0.187940 -5.672303 -3.691760
H: -0.195076 -5.532797 -1.932207
H: 0.726900 -3.195631 -2.155082
H: 0.252601 -3.570405 -5.153493
H: 1.825274 -3.554007 -4.369295
H: 0.812924 -2.105586 -4.337178
H: -1.788171 -3.783050 -4.820120
H: -4.201850 -3.419642 -4.518505
H: -5.068281 -2.743946 -2.311726
H: -2.922307 -2.106068 0.654875
........
There is growing concern, particularly in affluent areas such as Tunbridge Wells, that more and more experienced doctors will choose to go fully private, leading to a brain drain from the NHS.
“The exodus has already begun, and it’s accelerating slowly. Lots of GPs in their 50s are going a lot earlier than they would have done.
“A lot of them are just firefighting at the moment, and they are completely demoralised. The workload is just not sustainable and wages have dropped year on year,” he said, citing about a 30 per cent pay cut over the last ten years.
These changes have meant the next generation of doctors don’t want to take on a partnership role because they can earn the same money on locum or salaried contracts.
They will just offer consulting sessions, rather than being tied to a particular dedicated practice.
Dr Harry suggested that since partners take more responsibility in the management of the practice, this could make things ‘a lot worse’ for surgeries.
“For every two GPs that retire, you’d need to hire three salaried or locum doctors to do the same amount of work,” he said.